(Entries)
____________
Compound: SrCd11
Source: the Materials Project
Functional: GGA-PBE
Structure: optimized geometry

Cell lengths 9.464, 9.464, 9.464 Å; angles 99.88, 99.88, 131.05 degrees
Positions (direct):
Sr 0.750 0.250 0.500
Sr 0.500 0.500 0.000
Cd 0.995 0.320 0.916
Cd 0.125 0.875 0.750
Cd 0.680 0.595 0.675
Cd 0.405 0.320 0.325
Cd 0.680 0.005 0.084
Cd 0.845 0.430 0.175
Cd 0.405 0.080 0.084
Cd 0.000 0.000 0.000
Cd 0.845 0.670 0.416
Cd 0.250 0.750 0.500
Cd 0.330 0.745 0.175
Cd 0.125 0.875 0.250
Cd 0.255 0.430 0.584
Cd 0.570 0.745 0.416
Cd 0.995 0.080 0.675
Cd 0.920 0.005 0.325
Cd 0.330 0.155 0.584
Cd 0.255 0.670 0.825
Cd 0.570 0.155 0.825
Cd 0.920 0.595 0.916
Cd 0.625 0.875 0.750
Cd 0.125 0.375 0.250

Properties
Energy of formation, eV per atom: -0.125

---

Compound: BaGaSn
Source: the Materials Project
Functional: GGA-PBE
Structure: optimized geometry

Cell lengths 4.674, 4.674, 10.555 Å; angles 90.00, 90.00, 120.00 degrees
Positions (direct):
Ba 0.000 0.000 0.233
Ba 0.000 0.000 0.767
Ga 0.333 0.667 0.007
Ga 0.667 0.333 0.993
Sn 0.667 0.333 0.555
Sn 0.333 0.667 0.445

Properties
Energy of formation, eV per atom: -0.513

---

Compound: Ca3Re2N4
Source: the Materials Project
Functional: GGA-PBE
Structure: optimized geometry

Cell lengths 7.072, 9.190, 5.367 Å; angles 90.00, 93.61, 130.53 degrees
Positions (direct):
Ca 0.212 0.936 0.019
Ca 0.788 0.724 0.481
Ca 0.788 0.064 0.981
Ca 0.212 0.276 0.519
Ca 0.000 0.566 0.750
Ca 0.000 0.434 0.250
Re 0.519 0.148 0.563
Re 0.481 0.629 0.937
Re 0.481 0.852 0.437
Re 0.519 0.371 0.063
N 0.221 0.872 0.560
N 0.779 0.652 0.940
N 0.779 0.128 0.440
N 0.221 0.348 0.060
N 0.659 0.254 0.908
N 0.341 0.595 0.592
N 0.341 0.746 0.092
N 0.659 0.405 0.408

Properties
Total energy after the MP2020 corrections, eV/f.u.: -69.53
Energy of formation, eV per atom: -0.586

---

Compound: Rb3TlCl6
Source: the Materials Project
Functional: GGA-PBE
Structure: optimized geometry

Cell lengths 8.082, 8.082, 8.082 Å; angles 60.00, 60.00, 60.00 degrees
Positions (direct):
Rb 0.750 0.750 0.750
Rb 0.250 0.250 0.250
Rb 0.500 0.500 0.500
Tl 0.000 0.000 0.000
Cl 0.771 0.229 0.229
Cl 0.229 0.229 0.771
Cl 0.229 0.771 0.771
Cl 0.229 0.771 0.229
Cl 0.771 0.229 0.771
Cl 0.771 0.771 0.229

Properties
Total energy after the MP2020 corrections, eV/f.u.: -34.34
Energy of formation, eV per atom: -1.795

---

Compound: Mg6NbGa
Source: the Materials Project
Functional: GGA-PBE
Structure: optimized geometry

Cell lengths 4.969, 5.951, 10.995 Å; angles 90.00, 90.00, 90.00 degrees
Positions (direct):
Mg 0.500 0.249 0.422
Mg 0.500 0.751 0.422
Mg 0.000 0.758 0.083
Mg 0.000 0.242 0.083
Mg 0.000 0.000 0.325
Mg 0.000 0.500 0.325
Mg 0.500 0.749 0.922
Mg 0.500 0.251 0.922
Mg 0.000 0.258 0.583
Mg 0.000 0.742 0.583
Mg 0.000 0.500 0.825
Mg 0.000 0.000 0.825
Nb 0.500 0.000 0.173
Nb 0.500 0.500 0.673
Ga 0.500 0.500 0.168
Ga 0.500 0.000 0.668

Properties
Energy of formation, eV per atom: 0.087

---

Compound: Si
Source: the Materials Project
Functional: GGA-PBE
Structure: optimized geometry

Cell lengths 4.935, 5.392, 7.137 Å; angles 92.41, 109.81, 114.31 degrees
Positions (direct):
Si 0.713 0.048 0.841
Si 0.590 0.100 0.255
Si 0.462 0.580 0.674
Si 0.174 0.268 0.147
Si 0.234 0.141 0.760
Si 0.079 0.554 0.356
Si 0.729 0.335 0.594
Si 0.075 0.990 0.395

Properties
Energy of formation, eV per atom: 0.447

---

Compound: BaTbEuBiO6
Source: the Materials Project
Functional: GGA-PBE
Structure: optimized geometry

Cell lengths 6.141, 6.141, 6.141 Å; angles 60.00, 60.00, 60.00 degrees
Positions (direct):
Ba 0.250 0.250 0.250
Tb 0.500 0.500 0.500
Eu 0.750 0.750 0.750
Bi 0.000 0.000 0.000
O 0.755 0.245 0.245
O 0.245 0.755 0.755
O 0.755 0.245 0.755
O 0.245 0.755 0.245
O 0.755 0.755 0.245
O 0.245 0.245 0.755

Properties
Total energy after the MP2020 corrections, eV/f.u.: -77.90
Energy of formation, eV per atom: -2.751

---

Compound: Mg14AlMo
Source: the Materials Project
Functional: GGA-PBE
Structure: optimized geometry
____________

(Wanted)
The reader should repeat everything further above word for word.

(Result)
Compound: SrCd11
Source: the Materials Project
Functional: GGA-PBE
Structure: optimized geometry

Cell lengths 9.464, 9.464, 9.464 Å; angles 99.88, 99.88, 131.05 degrees
Positions (direct):
Sr 0.750 0.250 0.500
Sr 0.500 0.500 0.000
Cd 0.995 0.320 0.916
Cd 0.125 0.875 0.750
Cd 0.680 0.595 0.675
Cd 0.405 0.320 0.325
Cd 0.680 0.005 0.084
Cd 0.845 0.430 0.175
Cd 0.405 0.080 0.084
Cd 0.000 0.000 0.000
Cd 0.845 0.670 0.416
Cd 0.250 0.750 0.500
Cd 0.330 0.745 0.175
Cd 0.125 0.875 0.250
Cd 0.255 0.430 0.584
Cd 0.570 0.745 0.416
Cd 0.995 0.080 0.675
Cd 0.920 0.005 0.325
Cd 0.330 0.155 0.584
Cd 0.255 0.670 0.825
Cd 0.570 0.155 0.825
Cd 0.920 0.595 0.916
Cd 0.625 0.875 0.750
Cd 0.125 0.375 0.250

Properties
Energy of formation, eV per atom: -0.125

---

Compound: BaGaSn
Source: the Materials Project
Functional: GGA-PBE
Structure: optimized geometry

Cell lengths 4.674, 4.674, 10.555 Å; angles 90.00, 90.00, 120.00 degrees
Positions (direct):
Ba 0.000 0.000 0.233
Ba 0.000 0.000 0.767
Ga 0.333 0.667 0.007
Ga 0.667 0.333 0.993
Sn 0.667 0.333 0.555
Sn 0.333 0.667 0.445

Properties
Energy of formation, eV per atom: -0.513

---

Compound: Ca3Re2N4
Source: the Materials Project
Functional: GGA-PBE
Structure: optimized geometry

Cell lengths 7.072, 9.190, 5.367 Å; angles 90.00, 93.61, 130.53 degrees
Positions (direct):
Ca 0.212 0.936 0.019
Ca 0.788 0.724 0.481
Ca 0.788 0.064 0.981
Ca 0.212 0.276 0.519
Ca 0.000 0.566 0.750
Ca 0.000 0.434 0.250
Re 0.519 0.148 0.563
Re 0.481 0.629 0.937
Re 0.481 0.852 0.437
Re 0.519 0.371 0.063
N 0.221 0.872 0.560
N 0.779 0.652 0.940
N 0.779 0.128 0.440
N 0.221 0.348 0.060
N 0.659 0.254 0.908
N 0.341 0.595 0.592
N 0.341 0.746 0.092
N 0.659 0.405 0.408

Properties
Total energy after the MP2020 corrections, eV/f.u.: -69.53
Energy of formation, eV per atom: -0.586

---

Compound: Rb3TlCl6
Source: the Materials Project
Functional: GGA-PBE
Structure: optimized geometry

Cell lengths 8.082, 8.082, 8.082 Å; angles 60.00, 60.00, 60.00 degrees
Positions (direct):
Rb 0.750 0.750 0.750
Rb 0.250 0.250 0.250
Rb 0.500 0.500 0.500
Tl 0.000 0.000 0.000
Cl 0.771 0.229 0.229
Cl 0.229 0.229 0.771
Cl 0.229 0.771 0.771
Cl 0.229 0.771 0.229
Cl 0.771 0.229 0.771
Cl 0.771 0.771 0.229

Properties
Total energy after the MP2020 corrections, eV/f.u.: -34.34
Energy of formation, eV per atom: -1.795

---

Compound: Mg6NbGa
Source: the Materials Project
Functional: GGA-PBE
Structure: optimized geometry

Cell lengths 4.969, 5.951, 10.995 Å; angles 90.00, 90.00, 90.00 degrees
Positions (direct):
Mg 0.500 0.249 0.422
Mg 0.500 0.751 0.422
Mg 0.000 0.758 0.083
Mg 0.000 0.242 0.083
Mg 0.000 0.000 0.325
Mg 0.000 0.500 0.325
Mg 0.500 0.749 0.922
Mg 0.500 0.251 0.922
Mg 0.000 0.258 0.583
Mg 0.000 0.742 0.583
Mg 0.000 0.500 0.825
Mg 0.000 0.000 0.825
Nb 0.500 0.000 0.173
Nb 0.500 0.500 0.673
Ga 0.500 0.500 0.168
Ga 0.500 0.000 0.668

Properties
Energy of formation, eV per atom: 0.087

---

Compound: Si
Source: the Materials Project
Functional: GGA-PBE
Structure: optimized geometry

Cell lengths 4.935, 5.392, 7.137 Å; angles 92.41, 109.81, 114.31 degrees
Positions (direct):
Si 0.713 0.048 0.841
Si 0.590 0.100 0.255
Si 0.462 0.580 0.674
Si 0.174 0.268 0.147
Si 0.234 0.141 0.760
Si 0.079 0.554 0.356
Si 0.729 0.335 0.594
Si 0.075 0.990 0.395

Properties
Energy of formation, eV per atom: 0.447

---

Compound: BaTbEuBiO6
Source: the Materials Project
Functional: GGA-PBE
Structure: optimized geometry

Cell lengths 6.141, 6.141, 6.141 Å; angles 60.00, 60.00, 60.00 degrees
Positions (direct):
Ba 0.250 0.250 0.250
Tb 0.500 0.500 0.500
Eu 0.750 0.750 0.750
Bi 0.000 0.000 0.000
O 0.755 0.245 0.245
O 0.245 0.755 0.755
O 0.755 0.245 0.755
O 0.245 0.755 0.245
O 0.755 0.755 0.245
O 0.245 0.245 0.755

Properties
Total energy after the MP2020 corrections, eV/f.u.: -77.90
Energy of formation, eV per atom: -2.751

---

Compound: Mg14AlMo
Source: the Materials Project
Functional: GGA-PBE
Structure: optimized geometry